[Input]
____________
The following is a calculated XRD peak list of SbPbSeO6. It was derived from a cell relaxed with GGA-PBE, using Cu Kα.

Largest 8 diffraction maxima, sorted by position, 15° ≤ 2θ ≤ 90°:
index, 2θ (°), I (rel.)
1 0 1, 25.32, 100
1 1 0, 33.87, 32
2 0 1, 42.75, 23
2 -1 2, 47.75, 37
1 0 3, 53.97, 12
3 -1 1, 55.63, 23
3 0 0, 60.60, 10
3 1 1, 76.98, 9

Structure:
Cell lengths 5.2933, 5.2933, 5.4877 Å; angles 90.00, 90.00, 120.00 degrees
Sites, in units of the cell vectors:
Sb1 0.0000 0.0000 0.0000
Pb1 0.3333 0.6667 0.5000
Se1 0.6667 0.3333 0.0000
O1 0.3405 0.0498 0.2037
O2 0.3405 0.2906 0.7963
O3 0.7094 0.0498 0.7963
O4 0.7094 0.6595 0.2037
O5 0.9502 0.2906 0.2037
O6 0.9502 0.6595 0.7963

* * * * *

Entry 1:
Theoretical powder diffraction line list of Rb2GaSnCl5 for CuKα, from a DFT-relaxed cell (PBE, Alexandria).

Structure:
```
data_Rb2GaSnCl5
_chemical_formula_sum 'Rb8 Ga4 Sn4 Cl20'
_space_group_name_H-M_alt 'C m c 21'
_space_group_IT_number 36
_space_group_name_Hall 'C 2c -2'
_cell_length_a 4.438
_cell_length_b 18.830
_cell_length_c 14.769
_cell_angle_alpha 90.00
_cell_angle_beta 90.00
_cell_angle_gamma 90.00
loop_
_atom_site_label
_atom_site_type_symbol
_atom_site_fract_x
_atom_site_fract_y
_atom_site_fract_z
Rb1 Rb 0.000 0.086 0.000
Rb2 Rb 0.000 0.136 0.645
Ga1 Ga 0.000 0.464 0.793
Sn1 Sn 0.000 0.224 0.374
Cl1 Cl 0.000 0.083 0.416
Cl2 Cl 0.000 0.262 0.006
Cl3 Cl 0.000 0.300 0.751
Cl4 Cl 0.000 0.378 0.332
Cl5 Cl 0.000 0.499 0.117
```

The 8 most intense peaks (5° ≤ 2θ ≤ 70°), low angle first:
- (0 2 3), d 4.363, 20.4 deg, I 37
- (1 1 2), d 3.729, 23.9 deg, I 48
- (1 3 0), d 3.624, 24.6 deg, I 24
- (1 1 3), d 3.247, 27.5 deg, I 100
- (0 6 1), d 3.070, 29.1 deg, I 46
- (0 6 2), d 2.888, 31.0 deg, I 25
- (1 1 5), d 2.438, 36.9 deg, I 25
- (2 0 0), d 2.219, 40.7 deg, I 33



Entry 2:
Theoretical powder diffraction line list of RbThGa2Cl8 for CuKα, from a DFT-relaxed cell (PBE, Alexandria).

Structure:
```
data_RbThGa2Cl8
_chemical_formula_sum 'Rb1 Th1 Ga2 Cl8'
_space_group_name_H-M_alt 'P -1'
_space_group_IT_number 2
_space_group_name_Hall '-P 1'
_cell_length_a 6.753
_cell_length_b 6.857
_cell_length_c 9.244
_cell_angle_alpha 85.64
_cell_angle_beta 84.61
_cell_angle_gamma 86.28
loop_
_atom_site_label
_atom_site_type_symbol
_atom_site_fract_x
_atom_site_fract_y
_atom_site_fract_z
Rb1 Rb 0.000 0.000 0.000
Th1 Th 0.000 0.000 0.500
Ga1 Ga 0.475 0.481 0.218
Cl1 Cl 0.217 0.816 0.708
Cl2 Cl 0.231 0.827 0.282
Cl3 Cl 0.244 0.294 0.475
Cl4 Cl 0.315 0.358 0.009
```

The 8 most intense peaks (5° ≤ 2θ ≤ 70°), low angle first:
- (0 0 1), d 9.180, 9.6 deg, I 31
- (1 0 1), d 5.669, 15.6 deg, I 67
- (1 1 0), d 4.931, 18.0 deg, I 100
- (1 -1 0), d 4.652, 19.1 deg, I 84
- (1 0 2), d 3.957, 22.5 deg, I 38
- (1 0 -2), d 3.640, 24.5 deg, I 32
- (2 -1 2), d 2.536, 35.4 deg, I 31
- (2 2 0), d 2.463, 36.5 deg, I 41



Entry 3:
Theoretical powder diffraction line list of GaTcRh2Cl for CuKα, from a DFT-relaxed cell (PBE, Alexandria).

Structure:
```
data_GaTcRh2Cl
_chemical_formula_sum 'Ga1 Tc1 Rh2 Cl1'
_space_group_name_H-M_alt 'P 4/m m m'
_space_group_IT_number 123
_space_group_name_Hall '-P 4 2'
_cell_length_a 4.636
_cell_length_b 4.636
_cell_length_c 4.897
_cell_angle_alpha 90.00
_cell_angle_beta 90.00
_cell_angle_gamma 90.00
loop_
_atom_site_label
_atom_site_type_symbol
_atom_site_fract_x
_atom_site_fract_y
_atom_site_fract_z
Ga1 Ga 0.000 0.000 0.000
Tc1 Tc 0.000 0.000 0.500
Rh1 Rh 0.000 0.500 0.000
Cl1 Cl 0.500 0.500 0.500
```

The 8 most intense peaks (5° ≤ 2θ ≤ 70°), low angle first:
- (0 0 1), d 4.897, 18.1 deg, I 31
- (1 0 0), d 4.636, 19.1 deg, I 48
- (1 1 1), d 2.724, 32.9 deg, I 100
- (0 0 2), d 2.449, 36.7 deg, I 43
- (2 0 0), d 2.318, 38.9 deg, I 74
- (2 0 2), d 1.683, 54.5 deg, I 53
- (2 2 0), d 1.639, 56.1 deg, I 24
- (2 2 2), d 1.362, 68.9 deg, I 26



Entry 4:
Theoretical powder diffraction line list of GaS2Cl6 for CuKα, from a DFT-relaxed cell (PBE, Alexandria).

Structure:
```
data_GaS2Cl6
_chemical_formula_sum 'Ga1 S2 Cl6'
____________

[Wanted]
Next, work out how many lines further above have the word "data_RbThGa2Cl8" in them; a number is enough.

[Outcome]
1